Today’s Top Technology Tips


Parents Find Son Snatched 32 years Ago
Source Link: DNA Use
 A Chinese couple whose son was abducted in a hotel in 1988 have been reunited with
him after 32 years. The boy was snatched at age two, while his father stopped to get
him some water on the way home from nursery school. The boy asked for a drink of
water, so they stopped in the entrance of a hotel. As the father cooled down some hot
water, he looked away briefly, and the boy was taken.
 The boy was two when he disappeared in 1988 and was sold to childless couple for
6,000 yuan (£690, $840 in today's money,) who raised him as their own son.
 The boy mother, Mrs. Li, quit her job to search for her son. She handed out some
100,000 flyers in more than 10 provinces and municipalities without success.
 Over the years she appeared on numerous Chinese television shows to appeal for
help. She followed 300 leads, but no match was found. In 2007, Mrs. Li started
volunteering with a group called "Baby Come Back Home", to help other parents look
for their missing children.
 Mrs. Li was told the good news on 10 May, “Mother's Day.” "This is the best gift I have
ever got," she said.
 So how does technology play a role in this story? There are two new technologies that
help foster this reunion. The man, now known as Mao, was tracked down in early May
by police who used facial recognition technology to analyze old photos of the boy.
His identity was later confirmed using DNA testing.

Nile Nickel’s Top Technology Tips
April 25, 2020 Volume 47 Issue 10


 In 2015, it was estimated that 20,000 children were being abducted each year in China.
 In 2009, China's Ministry of Public Security set up a DNA database which has since
helped to find more than 6,000 missing children. And in May 2016, the China’s ministry
launched a system called "Reunion", which by June 2019 had led to more than 4,000
children finding their families.
Likewise in the United States DNA has become a game changer as well. Since
2004 the University of North Texas (UNT) and its Center for Human
Identification, the leading lab in the country providing free DNA testing through a
federal grant to law enforcement and families of missing children. If you have
questions or want to find our more go to
2. Nearly Half Of The Twitter Accounts Discussing ‘Reopening
America’ May Be Bots
Source Link: COVID BOTs
 Scrolling through your Twitter feed, it may not be obvious when you come upon a bot
account, something that is more likely to occur in the era of COVID-19. Carnegie
Mellon University researchers have discovered that much of the discussion around
the pandemic and stay-at-home orders is being fueled by misinformation campaigns
that use convincing bots..
 To analyze bot activity around the pandemic, CMU researchers since January have
collected more than 200 million tweets discussing coronavirus or COVID-19. Of the
top 50 influential retweeters, 82% are bots, they found. Of the top 1,000 retweeters,
62% are bots..
 The research team cannot point to specific entities behind the orchestrated attempts
to influence online conversations. "We do know that it looks like it's a propaganda
machine, and it definitely matches the Russian and Chinese playbooks, but it would
take a tremendous amount of resources to substantiate that," Carley said.

3. SpaceX Readies First Astronaut Launch by Private Firm
Source Link: SpaceX
 With the scheduled launch of two NASA astronauts into orbit Wednesday, SpaceX
aims to propel the U.S. into a historic new era of commercially led space exploration.

Nile Nickel’s Top Technology Tips
April 25, 2020 Volume 47 Issue 10


 No company has flown commercially developed hardware carrying humans and
rendezvoused with the international space station. If successful, it would be a
resounding achievement for Space Exploration Technologies Corp.; its billionaire
founder, Elon Musk; and a milestone for NASA. The mission plan to launch May
27 th ,or Wednesday’s would be the first from U.S. soil in nearly a decade, and seeks to
reset space exploration.
 The National Aeronautics and Space Administration has spent years trying to shift
away from the lumbering process of building and designing government-owned
spacecraft, and toward using public-private partnerships to develop vehicles and then
pay private contractors for specific services.

 SpaceX’s efforts to launch astronauts into orbit have suffered various delays, totaling
about four years, including two catastrophic explosions of its Falcon 9 rocket and
nagging safety concerns about the Dragon capsule riding on top.
 SpaceX started in 2002, with barely a dozen employees and based in a converted
warehouse near a Southern California strip mall. The company has blossomed into a
global powerhouse renowned for reducing prices to launch commercial and
government payloads.
 With some 7,000 employees, and facilities from Washington state to Texas to Florida,
the company already has notched several records: It was the first private entity to
place a satellite into Earth’s orbit; the first to land and then reuse major parts of
returning rockets; and the first to send a spacecraft to link up with the orbiting
international laboratory.

4. Samsung develops new security chip for smartphones
Source Link: Security
 Samsung has launched a new secure element (SE) chip to protect private and
sensitive data on mobile devices, the company said on Tuesday.
 The chip, will be offered as a standalone turnkey with security software, Samsung

Nile Nickel’s Top Technology Tips
April 25, 2020 Volume 47 Issue 10


 Common Criteria, which certifies the security level of IT products from EAL0 to EAL7
with seven being the most secure, gave the security chip a Common Criteria
Evaluation Assurance Level (CC EAL) 6+ certification.
 With the 6+ certification, Samsung said the SE chip has the highest rating to date
for a mobile component.
 According to Samsung, the new chip provides protection for mobile devices such as
smartphones and tablets when performing booting, isolated storage, mobile payment,
among other applications.
 It can also be used for e-passports and cryptocurrency hardware wallets, and to
support hardware-based root of trust and device authentication. The chip is also
versatile, Samsung added, as it can work independently from the security
performance of a device's main processor.
 The SE chip will be available in the third quarter.
5. 3D Printers Are On The Front Lines of the COVID-19
Source Link: 3D
 The US continues to struggle to respond to the COVID-19 pandemic, both at a state
and federal level. So DIY efforts from academics, hobbyists, manufacturing experts,
and professional firms have coalesced around COVID hotspots like New York City to
meet the needs of health care workers and others on the front line of the response

 Some of these initiatives are highly organized, involving partnerships across state
lines to source materials and make use of industrial-grade manufacturing facilities.
Yet almost all began in the living rooms of people with access to a 3D printer and the
ingenuity to put together stopgap measures as existing supply lines struggled to keep
 It doesn’t hurt that out of all the PPE in short supply during COVID-19, face shields
are among the easiest to produce — a single unit can be constructed with basic
materials by anyone with a 3D printer or even a laser or waterjet cutter. “The nice
thing about shields is that they’re easy to produce relatively quickly,” Hudspeth says.

### Crystal structures that have nothing to do with the page
<<<
The following is a PBE-GGA calculation of Pu12PdRu6 after structural relaxation, from the Alexandria database.

Computed properties:
- E_form: -0.042 eV/atom
- SG: R-3, No. 148
- Total magnetization: 0.10 μB/f.u.

abc: 7.268 7.268 7.268
angles: 96.08 96.08 96.08
Fractional coordinates of all 19 atoms:
1 Pu 0.021 0.326 0.897
2 Pu 0.097 0.341 0.411
3 Pu 0.103 0.979 0.674
4 Pu 0.326 0.897 0.021
5 Pu 0.341 0.411 0.097
6 Pu 0.411 0.097 0.341
7 Pu 0.589 0.903 0.659
8 Pu 0.659 0.589 0.903
9 Pu 0.674 0.103 0.979
10 Pu 0.897 0.021 0.326
11 Pu 0.903 0.659 0.589
12 Pu 0.979 0.674 0.103
13 Pd 0.500 0.500 0.500
14 Ru 0.252 0.739 0.391
15 Ru 0.261 0.609 0.748
16 Ru 0.391 0.252 0.739
17 Ru 0.609 0.748 0.261
18 Ru 0.739 0.391 0.252
19 Ru 0.748 0.261 0.609

***

The following is a PBE-GGA calculation of Pu6PdRu2 after structural relaxation, from the Alexandria database.

Computed properties:
- E_form: 0.161 eV/atom
- SG: P-31m, No. 162
- Total magnetization: 0.00 μB/f.u.

abc: 7.787 7.787 2.812
angles: 90.00 90.00 120.00
Fractional coordinates of all 9 atoms:
1 Pu 0.000 0.344 0.084
2 Pu 0.000 0.656 0.916
3 Pu 0.344 0.000 0.084
4 Pu 0.344 0.344 0.916
5 Pu 0.656 0.000 0.916
6 Pu 0.656 0.656 0.084
7 Pd 0.000 0.000 0.500
8 Ru 0.333 0.667 0.500
9 Ru 0.667 0.333 0.500
>>>

Nile Nickel’s Top Technology Tips
April 25, 2020 Volume 47 Issue 10


“People who have larger 3D printers and a relatively basic piece of plastic that is
flexible enough to bend can make a face shield.”
 Ventilator Values (Story)
Technology Tidbits – Small Bites of Technology Goodness

 Facebook and Twitter says work from home maybe the norm . . . who will be next?

 Formula E driver Daniel Abt uses professional gamer to compete for him in esports